Give back all of the material underneath character by character.
____________
a.
Computed, not measured: a 2-piece molecular cluster, C7H15N2 overall, with the ωB97M-V functional and the def2-TZVPD basis.

Positions of all 24 atoms, in Å:
C1 -0.745 0.323 -0.335
C2 3.425 -1.539 1.652
C3 -1.371 0.194 -1.454
C4 -2.856 0.474 -1.426
C5 -0.628 0.033 -2.785
C6 -0.563 -0.428 1.892
C7 0.321 1.705 1.306
N1 2.611 -0.952 0.829
N2 -0.464 0.561 0.849
H1 4.293 -2.159 1.340
H2 3.206 -1.701 2.683
H3 -3.466 -0.377 -1.696
H4 -2.777 1.251 -2.281
H5 -3.229 1.108 -0.502
H6 -0.414 -1.018 -2.814
H7 0.402 0.547 -2.601
H8 -1.139 0.480 -3.674
H9 0.441 -0.935 2.107
H10 -0.990 0.089 2.796
H11 -1.156 -1.313 1.730
H12 0.578 2.365 0.470
H13 -0.035 2.404 2.140
H14 1.340 1.354 1.672
H15 2.844 -1.140 -0.223

The value obtained for the HOMO energy is -0.49692 hartree. The gap between HOMO and LUMO comes out at 9.72 eV. Its charge is +1.

Here are the Mulliken charges for atoms 1 to 4, given in e: 0.457 -0.234 0.308 -1.034

b.
Computed, not measured: an isolated ion of composition C7H15N2 and charge +1, with the ωB97M-V functional and the def2-TZVPD basis.

Positions of all 24 atoms, in Å:
C1 2.120 -0.412 -0.155
N1 1.150 -0.022 0.830
C2 1.701 0.084 2.174
C3 -0.124 0.256 0.580
N2 -1.095 0.550 1.475
C4 -2.171 0.431 0.493
C5 -0.997 0.108 -0.586
C6 -0.636 1.213 -1.623
C7 -1.265 -1.217 -1.262
H1 3.088 -0.120 0.232
H2 1.886 -1.510 -0.254
H3 1.751 0.019 -1.190
H4 2.343 -0.770 2.246
H5 2.414 0.913 2.309
H6 0.955 0.123 3.000
H7 -1.193 0.935 2.433
H8 -2.520 1.440 0.382
H9 -2.801 -0.371 0.687
H10 -1.258 0.999 -2.543
H11 0.371 0.988 -1.987
H12 -0.677 2.295 -1.213
H13 -2.176 -1.196 -1.874
H14 -1.339 -2.075 -0.470
H15 -0.370 -1.494 -1.779

The value obtained for the HOMO energy is -0.50785 hartree. The gap between HOMO and LUMO comes out at 10.97 eV. Its charge is +1.

Here are the Mulliken charges for atoms 1 to 4, given in e: -0.824 -0.030 -0.950 0.214

The structure with the most favorable energy is b; the runner-up is 236.3 kJ/mol above it.

a.
Computed, not measured: a 2-piece molecular cluster, C12H16N2O overall, with the ωB97M-V functional and the def2-TZVPD basis.

Positions of all 31 atoms, in Å:
C1 1.488 -0.324 -2.524
C2 0.646 -1.597 -2.476
C3 -0.032 -1.813 -1.136
C4 0.523 -2.714 -0.262
N1 -0.376 -2.794 0.775
C5 -1.434 -2.014 0.454
N2 -1.246 -1.395 -0.679
H1 0.858 0.557 -2.656
H2 2.157 -0.341 -3.388
H3 2.065 -0.222 -1.611
H4 -0.081 -1.636 -3.252
H5 1.269 -2.477 -2.612
H6 1.364 -3.379 -0.348
H7 -0.320 -3.462 1.521
H8 -2.168 -1.942 1.243
C6 0.318 2.862 -0.943
C7 0.002 2.011 0.249
C8 -1.323 1.760 0.562
C9 -1.680 1.098 1.729
C10 -0.643 0.746 2.572
O1 -0.933 0.152 3.794
C11 0.705 0.924 2.297
C12 0.993 1.533 1.090
H9 0.022 2.333 -1.861
H10 1.363 3.112 -1.052
H11 -0.280 3.767 -1.056
H12 -2.095 2.009 -0.134
H13 -2.659 0.723 1.993
H14 -1.887 0.183 3.918
H15 1.396 0.516 3.019
H16 1.991 1.823 0.773

The value obtained for the HOMO energy is -0.29907 hartree. The gap between HOMO and LUMO comes out at 8.87 eV.

Here are the Mulliken charges for atoms 1 to 4, given in e: -0.743 -0.685 0.633 -0.608

b.
Computed, not measured: C12H16N2O in the gas phase, with the ωB97M-V functional and the def2-TZVPD basis.

Positions of all 31 atoms, in Å:
C1 -4.853 -0.912 -0.088
O1 -4.166 0.373 -0.369
C2 -2.914 0.183 -0.218
C3 -2.031 1.261 -0.244
C4 -0.687 1.041 0.174
C5 -0.269 -0.212 0.494
C6 -1.164 -1.225 0.669
N1 -2.469 -1.005 0.296
C7 1.174 -0.574 0.679
N2 1.519 -1.575 -0.428
C8 2.916 -1.579 -0.472
C9 3.357 -0.172 -0.249
C10 2.259 0.557 0.465
C11 1.661 1.648 -0.415
C12 0.314 2.123 0.341
H1 -4.480 -1.242 0.865
H2 -4.630 -1.573 -0.950
H3 -5.895 -0.620 -0.260
H4 -2.188 2.266 -0.594
H5 -0.836 -2.187 0.727
H6 1.228 -1.283 1.607
H7 1.046 -1.189 -1.359
H8 3.368 -2.260 -1.305
H9 3.135 -2.217 0.311
H10 4.169 -0.203 0.455
H11 3.741 0.261 -1.108
H12 2.562 0.886 1.483
H13 1.431 1.490 -1.564
H14 2.295 2.513 -0.382
H15 -0.131 3.176 -0.039
H16 0.538 2.252 1.477

The value obtained for the HOMO energy is -0.30968 hartree. The gap between HOMO and LUMO comes out at 9.31 eV.
____________
a.
Computed, not measured: a 2-piece molecular cluster, C7H15N2 overall, with the ωB97M-V functional and the def2-TZVPD basis.

Positions of all 24 atoms, in Å:
C1 -0.745 0.323 -0.335
C2 3.425 -1.539 1.652
C3 -1.371 0.194 -1.454
C4 -2.856 0.474 -1.426
C5 -0.628 0.033 -2.785
C6 -0.563 -0.428 1.892
C7 0.321 1.705 1.306
N1 2.611 -0.952 0.829
N2 -0.464 0.561 0.849
H1 4.293 -2.159 1.340
H2 3.206 -1.701 2.683
H3 -3.466 -0.377 -1.696
H4 -2.777 1.251 -2.281
H5 -3.229 1.108 -0.502
H6 -0.414 -1.018 -2.814
H7 0.402 0.547 -2.601
H8 -1.139 0.480 -3.674
H9 0.441 -0.935 2.107
H10 -0.990 0.089 2.796
H11 -1.156 -1.313 1.730
H12 0.578 2.365 0.470
H13 -0.035 2.404 2.140
H14 1.340 1.354 1.672
H15 2.844 -1.140 -0.223

The value obtained for the HOMO energy is -0.49692 hartree. The gap between HOMO and LUMO comes out at 9.72 eV. Its charge is +1.

Here are the Mulliken charges for atoms 1 to 4, given in e: 0.457 -0.234 0.308 -1.034

b.
Computed, not measured: an isolated ion of composition C7H15N2 and charge +1, with the ωB97M-V functional and the def2-TZVPD basis.

Positions of all 24 atoms, in Å:
C1 2.120 -0.412 -0.155
N1 1.150 -0.022 0.830
C2 1.701 0.084 2.174
C3 -0.124 0.256 0.580
N2 -1.095 0.550 1.475
C4 -2.171 0.431 0.493
C5 -0.997 0.108 -0.586
C6 -0.636 1.213 -1.623
C7 -1.265 -1.217 -1.262
H1 3.088 -0.120 0.232
H2 1.886 -1.510 -0.254
H3 1.751 0.019 -1.190
H4 2.343 -0.770 2.246
H5 2.414 0.913 2.309
H6 0.955 0.123 3.000
H7 -1.193 0.935 2.433
H8 -2.520 1.440 0.382
H9 -2.801 -0.371 0.687
H10 -1.258 0.999 -2.543
H11 0.371 0.988 -1.987
H12 -0.677 2.295 -1.213
H13 -2.176 -1.196 -1.874
H14 -1.339 -2.075 -0.470
H15 -0.370 -1.494 -1.779

The value obtained for the HOMO energy is -0.50785 hartree. The gap between HOMO and LUMO comes out at 10.97 eV. Its charge is +1.

Here are the Mulliken charges for atoms 1 to 4, given in e: -0.824 -0.030 -0.950 0.214

The structure with the most favorable energy is b; the runner-up is 236.3 kJ/mol above it.

a.
Computed, not measured: a 2-piece molecular cluster, C12H16N2O overall, with the ωB97M-V functional and the def2-TZVPD basis.

Positions of all 31 atoms, in Å:
C1 1.488 -0.324 -2.524
C2 0.646 -1.597 -2.476
C3 -0.032 -1.813 -1.136
C4 0.523 -2.714 -0.262
N1 -0.376 -2.794 0.775
C5 -1.434 -2.014 0.454
N2 -1.246 -1.395 -0.679
H1 0.858 0.557 -2.656
H2 2.157 -0.341 -3.388
H3 2.065 -0.222 -1.611
H4 -0.081 -1.636 -3.252
H5 1.269 -2.477 -2.612
H6 1.364 -3.379 -0.348
H7 -0.320 -3.462 1.521
H8 -2.168 -1.942 1.243
C6 0.318 2.862 -0.943
C7 0.002 2.011 0.249
C8 -1.323 1.760 0.562
C9 -1.680 1.098 1.729
C10 -0.643 0.746 2.572
O1 -0.933 0.152 3.794
C11 0.705 0.924 2.297
C12 0.993 1.533 1.090
H9 0.022 2.333 -1.861
H10 1.363 3.112 -1.052
H11 -0.280 3.767 -1.056
H12 -2.095 2.009 -0.134
H13 -2.659 0.723 1.993
H14 -1.887 0.183 3.918
H15 1.396 0.516 3.019
H16 1.991 1.823 0.773

The value obtained for the HOMO energy is -0.29907 hartree. The gap between HOMO and LUMO comes out at 8.87 eV.

Here are the Mulliken charges for atoms 1 to 4, given in e: -0.743 -0.685 0.633 -0.608

b.
Computed, not measured: C12H16N2O in the gas phase, with the ωB97M-V functional and the def2-TZVPD basis.

Positions of all 31 atoms, in Å:
C1 -4.853 -0.912 -0.088
O1 -4.166 0.373 -0.369
C2 -2.914 0.183 -0.218
C3 -2.031 1.261 -0.244
C4 -0.687 1.041 0.174
C5 -0.269 -0.212 0.494
C6 -1.164 -1.225 0.669
N1 -2.469 -1.005 0.296
C7 1.174 -0.574 0.679
N2 1.519 -1.575 -0.428
C8 2.916 -1.579 -0.472
C9 3.357 -0.172 -0.249
C10 2.259 0.557 0.465
C11 1.661 1.648 -0.415
C12 0.314 2.123 0.341
H1 -4.480 -1.242 0.865
H2 -4.630 -1.573 -0.950
H3 -5.895 -0.620 -0.260
H4 -2.188 2.266 -0.594
H5 -0.836 -2.187 0.727
H6 1.228 -1.283 1.607
H7 1.046 -1.189 -1.359
H8 3.368 -2.260 -1.305
H9 3.135 -2.217 0.311
H10 4.169 -0.203 0.455
H11 3.741 0.261 -1.108
H12 2.562 0.886 1.483
H13 1.431 1.490 -1.564
H14 2.295 2.513 -0.382
H15 -0.131 3.176 -0.039
H16 0.538 2.252 1.477

The value obtained for the HOMO energy is -0.30968 hartree. The gap between HOMO and LUMO comes out at 9.31 eV.